65th Annual Meeting of the APS Division of Plasma Physics
Monday–Friday, October 30–November 3 2023;
Denver, Colorado
Session VI02: MFE: Negative Triangularity
# Here the piece breaks off for materials data
Li3Fe3P4O16: relaxed, PBE with a Hubbard U.

Output
The magnetic moment comes out at 0.267 μB per atom. For the energy above the most stable polymorph in this dataset, the calculation gives 105 meV/atom. For the calculated volume, the calculation gives 11.8 A^3/atom.

abc: 7.640 7.984 10.120
angles: 90.07 94.25 89.53
Sites, in units of the cell vectors:
O  0.761  0.131  0.734
O  0.653  0.931  0.464
O  0.613  0.309  0.907
O  0.555  0.345  0.154
O  0.248  0.870  0.267
O  0.847  0.433  0.280
O  0.759  0.633  0.526
O  0.605  0.302  0.402
O  0.050  0.133  0.404
O  0.443  0.640  0.842
O  0.386  0.692  0.598
O  0.249  0.367  0.473
O  0.948  0.858  0.089
O  0.264  0.376  0.982
O  0.149  0.567  0.218
O  0.907  0.807  0.347
O  0.945  0.860  0.597
O  0.102  0.199  0.646
O  0.759  0.131  0.221
O  0.847  0.433  0.778
O  0.551  0.361  0.661
O  0.731  0.631  0.024
O  0.360  0.075  0.027
O  0.443  0.634  0.342
O  0.349  0.067  0.528
O  0.116  0.190  0.155
O  0.238  0.873  0.774
O  0.395  0.691  0.097
O  0.065  0.147  0.909
O  0.646  0.935  0.975
O  0.877  0.803  0.846
O  0.142  0.577  0.724
Li  0.909  0.635  0.204
Li  0.408  0.864  0.449
Li  0.393  0.858  0.953
Li  0.590  0.129  0.548
Li  0.093  0.364  0.296
Li  0.111  0.360  0.798
Fe  0.899  0.642  0.700
Fe  0.493  0.506  0.001
Fe  0.602  0.140  0.060
Fe  0.473  0.490  0.497
Fe  0.008  0.016  0.749
Fe  0.017  0.992  0.250
P  0.202  0.199  0.022
P  0.808  0.815  0.475
P  0.693  0.307  0.768
P  0.701  0.311  0.275
P  0.799  0.805  0.987
P  0.195  0.185  0.513
P  0.301  0.686  0.230
P  0.303  0.698  0.732

~~~~~

{"formula": "Ca2Ga3Au2", "functional": "PBE-GGA", "state": "optimized geometry", "mass_density_g_cm3": 7.524, "final_energy_ry_per_atom": -0.248, "ef_ev_per_atom": -0.562, "lattice_angstrom": [[2.113, -9.453, 0.000], [2.113, 9.453, 0.000], [0.000, 0.000, 7.548]], "species": ["Ca", "Ca", "Ca", "Ca", "Ga", "Ga", "Ga", "Ga", "Ga", "Ga", "Au", "Au", "Au", "Au"], "fractional_positions": [[0.064, 0.936, 0.750], [0.156, 0.844, 0.250], [0.844, 0.156, 0.750], [0.936, 0.064, 0.250], [0.231, 0.769, 0.750], [0.444, 0.556, 0.584], [0.444, 0.556, 0.916], [0.556, 0.444, 0.084], [0.556, 0.444, 0.416], [0.769, 0.231, 0.250], [0.316, 0.684, 0.054], [0.316, 0.684, 0.446], [0.684, 0.316, 0.554], [0.684, 0.316, 0.946]]}

***
# Here the piece continues
3:00 PM–5:00 PM,
Thursday, November 2, 2023
Room: Plaza D/E
Chair: Carlos Paz-Soldan, Columbia University
Abstract: VI02.00004 : Scenario Development and MHD Stability of Negative Triangularity Plasmas in DIII-D*
4:30 PM–5:00 PM
William Boyes
(Columbia University)
William Boyes
(Columbia University)
Novel negative triangularity (NT) L-mode scenarios have been developed to study stability and performance as functions of q95, at q95=3 and 4. Furthermore, novel access to a state with very small or no sawteeth and no fishbones was developed in NT L-mode, similar to hybrid scenarios in positive triangularity (PT). This state was previously observed transiently during high performance NT shots (H98=1.15). Cases at both q95s described here encounter m/n=2/1 tearing modes (TMs) at ~90% normalized pressure (bN) of previously predicted ideal wall limits ~3.1. Establishing a stationary hybrid-similar scenario at q95=4 to study stability required attempting early 3/2 TM onset, observed late in flattop at first. Experiments described here achieve good performance in NT L mode on flattops of up to 5 current relaxation times, τR≈0.6 s. This duration is sufficient to study MHD stability and scenario performance in stationary conditions, limited only by hardware availability at 7-10MW NBI, 2.2MW ECH. Confinement at both q95 values reaches standard H-mode levels (H98~0.95) without n=2 tearing modes. At q95=4, n=2 TMs saturate at low amplitude and decrease confinement by ~13%, consistent with PT plasmas at comparable q95. At q95=3, n=2 TMs grow to large amplitude, causing bN collapses. This behavior is comparable to the impact of n=2 TMs in the q95=4 PT hybrid vs the q95=3 ITER baseline scenario. Projections based on 0.5D rho* scaling shows both cases perform well with high-field reactor parameters akin to the ARC design (Bt=9 T, IP=7.5-10 MA), yielding 400MW of fusion power, with fusion gain Q~10, bN~1.5, and low input power Paux~40 MW. These results mark significant progress toward development of NT fusion reactor scenarios and identify avenues for improvement. The latter include larger, optimized plasma shapes to improve performance, better n=1 error field correction, increased density to reduce fast ion losses, and tradeoffs between TMs and sawtoothing regimes.
### The piece is interrupted by crystal structures
┌──
# 1
Density functional theory data (PBE-GGA) for a geometry-optimized Tl2Ir3Se6 structure.

Results
* uncorrected formation energy: -0.299 eV per atom
* SG: C2/m, No. 12

a = 6.6115 Å, b = 6.6115 Å, c = 7.5988 Å
α = 98.42°, β = 98.42°, γ = 120.10°
Last column: nearest neighbours and their distance in Å.
Fractional coordinates of all 11 atoms:
Tl  0.1642  0.8358  0.0000  6 Se 3.24-3.27
Tl  0.8358  0.1642  0.0000  6 Se 3.24-3.27
Ir  0.0000  0.0000  0.5000  6 Se 2.52-2.53
Ir  0.3304  0.6696  0.5000  6 Se 2.50-2.55
Ir  0.6696  0.3304  0.5000  6 Se 2.50-2.55
Se  0.0577  0.3907  0.6705  3 Ir 2.50-2.53
Se  0.2763  0.2763  0.3304  3 Ir 2.52-2.55
Se  0.3907  0.0577  0.6705  3 Ir 2.50-2.53
Se  0.6093  0.9423  0.3295  3 Ir 2.50-2.53
Se  0.7237  0.7237  0.6696  3 Ir 2.52-2.55
Se  0.9423  0.6093  0.3295  3 Ir 2.50-2.53


# 2
Density functional theory data (PBE-GGA) for a geometry-optimized LaMnHg structure.

Results
* E_form: -0.057 eV per atom
* SG: P-6m2, No. 187

a = 4.7493 Å, b = 4.7493 Å, c = 3.9357 Å
α = 90.00°, β = 90.00°, γ = 120.00°
Last column: nearest neighbours and their distance in Å.
Fractional coordinates of all 3 atoms:
La  0.0000  0.0000  0.0000  6 Mn 3.38, 6 Hg 3.38
Mn  0.6667  0.3333  0.5000  3 Hg 2.74
Hg  0.3333  0.6667  0.5000  3 Mn 2.74


# 3
Density functional theory data (PBE-GGA) for a geometry-optimized Ac3InSn structure.

Results
* polymorph energy (0 for the lowest one): 0 meV/atom
* E_form: -0.473 eV per atom
* SG: Pmmn, No. 59

a = 5.1922 Å, b = 9.7215 Å, c = 7.4593 Å
α = 90.00°, β = 90.00°, γ = 90.00°
Last column: nearest neighbours and their distance in Å.
Fractional coordinates of all 10 atoms:
Ac  0.2500  0.0513  0.2468  3 In 3.57-3.70, 3 Sn 3.58-3.63, 3 Ac 3.86-3.91
Ac  0.2500  0.2500  0.7438  2 In 3.40, 2 Sn 3.41
Ac  0.2500  0.4487  0.2468  3 In 3.57-3.70, 3 Sn 3.58-3.63, 3 Ac 3.86-3.91
Ac  0.7500  0.5513  0.7532  3 In 3.57-3.70, 3 Sn 3.58-3.63, 3 Ac 3.86-3.91
Ac  0.7500  0.7500  0.2562  2 In 3.40, 2 Sn 3.41
Ac  0.7500  0.9487  0.7532  3 In 3.57-3.70, 3 Sn 3.58-3.63, 3 Ac 3.86-3.91
In  0.2500  0.7500  0.5499  1 Sn 3.05, 2 Ac 3.40
In  0.7500  0.2500  0.4501  1 Sn 3.05, 2 Ac 3.40
Sn  0.2500  0.7500  0.9589  1 In 3.05, 2 Ac 3.41
Sn  0.7500  0.2500  0.0411  1 In 3.05, 2 Ac 3.41


# 4
Density functional theory data (PBE-GGA) for a geometry-optimized SrBPt2 structure.

Results
* E_form: -0.516 eV per atom
* SG: I4_1/amd, No. 141

a = 7.5611 Å, b = 7.5611 Å, c = 7.5611 Å
α = 139.58°, β = 139.58°, γ = 58.48°
Last column: nearest neighbours and their distance in Å.
Fractional coordinates of all 8 atoms:
Sr  0.3750  0.6250  0.7500  8 Pt 3.35, 4 B 3.69
Sr  0.6250  0.3750  0.2500  8 Pt 3.35, 4 B 3.69
B  0.1250  0.8750  0.2500  4 Pt 2.10
B  0.8750  0.1250  0.7500  4 Pt 2.10
Pt  0.0000  0.0000  0.0000  2 B 2.10
Pt  0.0000  0.0000  0.5000  2 B 2.10
Pt  0.0000  0.5000  0.0000  2 B 2.10
Pt  0.5000  0.0000  0.5000  2 B 2.10


Which formula does entry 4 have?
SrBPt2
└──
*This material is based upon work supported by the Department of Energy under Award Number(s) DE-FC02-04ER54698, DE-FG02-97ER54415, DE-SC0016154, and DE-FG02-04ER54761